PhD Student (MSc)

Vacancy: PhD student (MSc) kidney research

We are offering a position as PhD-student in a project on chronic kidney disease. This PhD project will focus on two topics: (1) studying how “tubuloids” (organoids differentiated to tubular epithelial cells) respond to urine samples from patients with chronic kidney disease and (2) large-scale proteomic analysis of urinary extracellular vesicles to identify novel biomarkers for chronic kidney disease. This PhD will be part of an ERC Consolidator grant project for which also another PhD student, postdoc, technician and research nurse will be recruited. In addition to the studies in the PhD project, you will have the opportunity to attend in-depth courses within and outside Erasmus MC. In addition, you will present your research data at (international) conferences and publish your data in scientific journals.

·         Completed Master of Science in one of the life sciences

·         Ability to operate independently as well as perform teamwork

·         Experience in wet lab research is recommended (preferably in organoids and/or proteomics)

What we offer
The contract will be for 4 years. Employment conditions are according to the CAO Universitair Medische Centra (UMC). This includes amongst others an 8.3% year-end bonus, individual travel budget and study possibilities.

Attached: data records.
<<<
(1)
# NaPm4YSe8 | the Alexandria database | PBE-GGA | relaxed
# Formation energy without anion corrections   -1.768 eV/atom
# Symmetry   No. 160
data_NaPm4YSe8
_symmetry_space_group_name_H-M 'P 1'
_symmetry_Int_Tables_number 1
_cell_length_a 8.660
_cell_length_b 8.660
_cell_length_c 8.597
_cell_angle_alpha 59.76
_cell_angle_beta 59.76
_cell_angle_gamma 60.00
loop_
_symmetry_equiv_pos_as_xyz
'x,y,z'
loop_
_atom_site_label
_atom_site_type_symbol
_atom_site_fract_x
_atom_site_fract_y
_atom_site_fract_z
Na1 Na 0.376 0.376 0.872
Pm1 Pm 0.624 0.624 0.128
Pm2 Pm 0.004 0.486 0.505
Pm3 Pm 0.486 0.004 0.505
Pm4 Pm 0.004 0.004 0.505
Y1 Y 0.005 0.005 0.985
Se1 Se 0.237 0.780 0.746
Se2 Se 0.780 0.237 0.746
Se3 Se 0.237 0.237 0.746
Se4 Se 0.241 0.241 0.277
Se5 Se 0.762 0.223 0.253
Se6 Se 0.223 0.762 0.253
Se7 Se 0.762 0.762 0.253
Se8 Se 0.758 0.758 0.726

---

(2)
# NaPm3Y2Se6 | the Alexandria database | PBE-GGA | relaxed
# Formation energy without anion corrections   -1.775 eV/atom
# Symmetry   No. 12
data_NaPm3Y2Se6
_symmetry_space_group_name_H-M 'P 1'
_symmetry_Int_Tables_number 1
_cell_length_a 4.145
_cell_length_b 8.348
_cell_length_c 9.309
_cell_angle_alpha 103.02
_cell_angle_beta 102.86
_cell_angle_gamma 90.00
loop_
_symmetry_equiv_pos_as_xyz
'x,y,z'
loop_
_atom_site_label
_atom_site_type_symbol
_atom_site_fract_x
_atom_site_fract_y
_atom_site_fract_z
Na1 Na 0.500 0.000 0.000
Pm1 Pm 0.500 0.500 0.000
Pm2 Pm 0.838 0.175 0.676
Pm3 Pm 0.162 0.825 0.324
Y1 Y 0.834 0.661 0.668
Y2 Y 0.166 0.339 0.332
Se1 Se 0.332 0.911 0.664
Se2 Se 0.669 0.579 0.337
Se3 Se 0.668 0.089 0.336
Se4 Se 0.004 0.248 0.008
Se5 Se 0.996 0.752 0.992
Se6 Se 0.331 0.421 0.663

* * * * *

# 1
Here is a relaxed PmAgBi crystal from OQMD. Energies are from PBE.

- volume (Å³ per cell) = 95
- ΔE to the lowest computed polymorph (meV/atom) = 165
- calculated total energy (eV for the cell shown) = -12.38

Unit cell a=5.127 b=5.127 c=5.127 alpha=60.00 beta=60.00 gamma=60.00
Element x y z (fractional)
1 Pm 0.000 0.000 0.000
2 Ag 0.750 0.750 0.750
3 Bi 0.250 0.250 0.250


# 2
Here is a relaxed FeSnPt2 crystal from OQMD. Energies are from PBE.

- volume (Å³ per cell) = 63
- calculated total energy (eV for the cell shown) = -24.92

Unit cell a=4.469 b=4.469 c=4.469 alpha=60.00 beta=60.00 gamma=60.00
Element x y z (fractional)
1 Fe 0.000 0.000 0.000
2 Sn 0.750 0.750 0.750
3 Pt 0.250 0.250 0.250
4 Pt 0.500 0.500 0.500


# 3
Here is a relaxed DyMgAgSeS2 crystal from OQMD. Energies are from PBE.

- volume (Å³ per cell) = 263
- calculated total energy (eV for the cell shown) = -55.07

Unit cell a=6.706 b=6.706 c=10.764 alpha=90.00 beta=90.00 gamma=147.11
Element x y z (fractional)
1 Dy 0.000 0.000 0.000
>>>
The data records stop here.

Intended start date: 1 June 2024.

Closing date vacancy: 1 April 2024.

Are you interested in this position and would you like to make an important contribution to kidney research? Submit your CV and motivation letter to

PhD Student (registered MD)

Vacature: arts-onderzoeker chronische nierschade

Wij zoeken een arts-onderzoeker voor een promotietraject naar chronische nierschade. Dit promotie-onderzoek zal bestaan uit twee diagnostische trials: (1) naar nieuwe urine biomarkers (o.a. in ‘urinary extracellular vesicles’) en (2)  tubulaire functietesten bij patiënten met chronische nierschade. In deze rol ben je verantwoordelijk voor het opzetten, coördineren en uitvoeren van deze studies. Dit promotietraject is onderdeel van een groter project n.a.v. een ERC Consolidator grant waaraan ook een postdoc, 2e promovendus, analist en onderzoeksverpleegkundige zullen werken. Je krijgt de kans om zowel binnen als buiten het Erasmus MC aanvullende verdiepende cursussen te volgen. Daarnaast presenteer je jouw onderzoeksresultaten op (internationale) congressen en publiceer je in wetenschappelijke tijdschriften.  

·         Afgeronde masteropleiding Geneeskunde

·         Affiniteit met translationeel onderzoek

·         Ervaring als ANIOS of AIOS strekt tot de aanbeveling

·         Uitstekend organisatorisch vermogen

·         Zowel zelfstandig als in teamverband kunnen werken

Wat wij bieden
Het contract is voor een periode van 4 jaar. De arbeidsvoorwaarden zijn conform de CAO Universitair Medische Centra (UMC). Hierbij worden onder andere een eindejaarsuitkering van 8,3%, een individueel reiskostenbudget en studiemogelijkheden aangeboden.

Beoogde startdatum: 1-6-2024.
Sluitingsdatum vacature: 1-4-2024.

Heb je interesse in deze uitdagende functie en wil je bijdragen aan belangrijk onderzoek naar chronische nierschade? Stuur dan jouw CV en motivatiebrief naar

Postdoc (MSc-PhD)

Vacancy: Postdoc (MSc-PhD) in kidney research

We are offering a 5-year position for a postdoctoral researcher in kidney research. This position is part of an ERC Consolidator Grant for which also two PhD students, a technician and research nurse will be recruited. The aim of the ERC Consolidator Grant is to identify novel urinary biomarkers for the progression of chronic kidney disease. This will be investigated both in model systems in the lab and in two diagnostic clinical trials. The lab work will be done in “tubuloids” (organoids differentiated to tubular epithelial cells) and in urinary extracellular vesicles. The diagnostic trials will be performed in patients with chronic kidney disease. Your role will be to coordinate these studies together with the PI as well as perform hands-on research together with the PhD students. We expect this postdoc to be the ideal stepping stone towards the development of an independent research career. You will be embedded in the Rotterdam Kidney Lab (

·         Completed MSc and PhD in one of the life sciences

·         Experience in wet lab research, preferably organoids, proteomics, bioinformatics and/or urinary extracellular vesicles

·         Affinity with translational research

·         Affinity and ability to supervise PhD students and technicians.

What we offer
The contract will be for 5 years. Employment conditions are according the CAO Universitair Medische Centra (UMC). This includes amongst others an 8.3% year-end bonus, individual travel budget and study possibilities.

Intended start date: 1 June 2024.
Closing date vacancy: 1 April 2024.

Are you interested in this position and would you like to make an important contribution to kidney research? Submit your CV and motivation letter to